/*
# Nd3ZnIn2

A geometry-optimized Nd3ZnIn2 structure (PBE, the Alexandria database).

Results
As for the calculated formation energy: -435 meV per atom. Its volume is 27.8 Å³ per atom. The value obtained for the density of states at the Fermi level is 4.656 states/eV/f.u. For the total energy, the calculation gives -23.66 eV/f.u.

CIF file:
```
data_Nd3ZnIn2
_chemical_formula_sum 'Nd3 Zn1 In2'
_space_group_name_H-M_alt 'P 4/m m m'
_space_group_IT_number 123
_space_group_name_Hall '-P 4 2'
_cell_length_a 3.745
_cell_length_b 3.745
_cell_length_c 11.886
_cell_angle_alpha 90.00
_cell_angle_beta 90.00
_cell_angle_gamma 90.00
loop_
_atom_site_label
_atom_site_type_symbol
_atom_site_fract_x
_atom_site_fract_y
_atom_site_fract_z
Nd1 Nd 0.000 0.000 0.000
Nd2 Nd 0.000 0.000 0.350
Zn1 Zn 0.500 0.500 0.500
In1 In 0.500 0.500 0.177
```

# LiCuAg2

A geometry-optimized LiCuAg2 structure (PBE, the Alexandria database).

Results
As for the calculated formation energy: 23 meV per atom. Its volume is 15.9 Å³ per atom. The value obtained for the density of states at the Fermi level is 1.529 states/eV/f.u. For the total energy, the calculation gives -11.62 eV/f.u.

CIF file:
```
data_LiCuAg2
_chemical_formula_sum 'Li3 Cu3 Ag6'
_space_group_name_H-M_alt 'R -3 m'
_space_group_IT_number 166
_space_group_name_Hall '-R 3 2"'
_cell_length_a 2.9096
_cell_length_b 2.9096
_cell_length_c 26.0318
_cell_angle_alpha 90.00
_cell_angle_beta 90.00
_cell_angle_gamma 120.00
loop_
_atom_site_label
_atom_site_type_symbol
_atom_site_fract_x
_atom_site_fract_y
_atom_site_fract_z
Li1 Li 0.0000 0.0000 0.0000
Cu1 Cu 0.0000 0.0000 0.5000
Ag1 Ag 0.0000 0.0000 0.2484
```

# Ag2AsP

A geometry-optimized Ag2AsP structure (PBE, the Alexandria database).

Results
As for the calculated formation energy: 370 meV per atom. Its volume is 18.0 Å³ per atom. The value obtained for the density of states at the Fermi level is 1.754 states/eV/f.u. For the total energy, the calculation gives -14.28 eV/f.u. The energy above the most stable polymorph in this dataset comes out at 181 meV/atom.

CIF file:
```
data_Ag2AsP
_chemical_formula_sum 'Ag4 As2 P2'
_space_group_name_H-M_alt 'I -4 m 2'
_space_group_IT_number 119
_space_group_name_Hall 'I -4 -2'
_cell_length_a 4.093
_cell_length_b 4.093
_cell_length_c 8.593
_cell_angle_alpha 90.00
_cell_angle_beta 90.00
_cell_angle_gamma 90.00
loop_
_atom_site_label
_atom_site_type_symbol
_atom_site_fract_x
_atom_site_fract_y
_atom_site_fract_z
Ag1 Ag 0.000 0.000 0.000
Ag2 Ag 0.000 0.500 0.250
As1 As 0.000 0.500 0.750
P1 P 0.000 0.000 0.500
```

# Ce2Be4Si3Ni

A geometry-optimized Ce2Be4Si3Ni structure (PBE, the Alexandria database).

Results
As for the formation energy from raw total energies: -0.45 eV/atom. Its volume is 14.5 Å³ per atom. The value obtained for the density of states at the Fermi level is 7.736 states/eV/f.u. For the total energy, the calculation gives -53.29 eV/f.u.

CIF file:
```
data_Ce2Be4Si3Ni
_chemical_formula_sum 'Ce2 Be4 Si3 Ni1'
_space_group_name_H-M_alt 'P -4 m 2'
_space_group_IT_number 115
_cell_length_a 3.918
_cell_length_b 3.918
_cell_length_c 9.427
_cell_angle_alpha 90.00
_cell_angle_beta 90.00
_cell_angle_gamma 90.00
loop_
_space_group_symop_operation_xyz
'x,y,z'
'y,-x,-z'
'-x,-y,z'
'-y,x,-z'
'-x,y,z'
'-y,-x,-z'
'x,-y,z'
'y,x,-z'
loop_
_atom_site_label
_atom_site_type_symbol
_atom_site_fract_x
_atom_site_fract_y
_atom_site_fract_z
Ce1 Ce 0.000 0.500 0.248
Be1 Be 0.000 0.000 0.500
Be2 Be 0.000 0.500 0.877
Be3 Be 0.500 0.500 0.500
Si1 Si 0.000 0.000 0.000
Si2 Si 0.000 0.500 0.633
Ni1 Ni 0.500 0.500 0.000
```

# ScBe8Ni3

A geometry-optimized ScBe8Ni3 structure (PBE, the Alexandria database).

Results
As for the calculated formation energy: -271 meV per atom. Its volume is 9.4 Å³ per atom. The value obtained for the density of states at the Fermi level is 4.198 states/eV/f.u. For the total energy, the calculation gives -56.74 eV/f.u.

CIF file:
```
data_ScBe8Ni3
_chemical_formula_sum 'Sc1 Be8 Ni3'
*/

Filter the notes further up: keep the lines with the word "Sc1".

_chemical_formula_sum 'Sc1 Be8 Ni3'